Chapter 10:

Another Day: The Date.

A few weeks went by after the talk with cross. The serious talk. Funny thing was, Naomi hasnt heard anything from Naomi lately and it worried her because she knew that Naomi might be planning something to go against her. Taking a deep breath, she watched as the sun rose up from the horizon. Sitting on the school walls was interesting and quite fun to her. "What more could I do? The only way to stop her is to stop myself..." meaning to kill herself. But she wasnt going to let that take over her and ruin everything. Ruin Zero..ruin the hunters HQ..Break her mental promise.

"You're not killing yourself, Naomi!" Zero called from the bottom of the wall. Standing there with his hands in his pockets, watching as his girlfriend turned and looked down at him.

"I wont do that, Dont worry about it." standing up, she jumped off the wall and landed on her feet in front of him "I couldnt bring myself to do it anyway..Becides..if I did that i'd only break you.." and then she hugged him, burying her face into his clothed chest "I love you so much, you have no idea."

A small smile appeared on his lips as he hugged her back and pressed his lips to her head "I love you too, Naomi. Just as I said..I'd keep you safe and protect you." he stated, pulling his lips from her head and looking down at her. Naomi's eyes meeting his.

"Thank you.." Her smile appeared on her face and she stood on her tippy toes and kissed him softly.

She loved the feeling of his lips on hers. They were soft and resistance..Just love that proved itself to her. Never did she dare doubt their relationship. Not wondering when it'll break. The bond between both of them were strong and full of trust. Sadly, they couldnt kiss forever and she pulled her lips from his, smiling as she looked up at him. Slowly her hands cupping his face. There was a kind look in his eyes, full of love and respect. It was as if he'd kiss her feet and treat her like a queen. That Loyalty he showed and trust.


Instantly she put her finger on his lips and shook her head, most likely telling him 'shh'. This moment made her think and she liked it. What more could I ask for? she asked herself He is all I need..all I want...Nothing could make me more happier then this... Naomi was going to treasure this moment with him just as she did with every other time with Zero. "Thank you for everything, Zero. I couldnt ask you for anything more to be honest." she giggled softly "All I need is someone like you to keep me sane and away from Insanity." being haunted by the past was horrid for someone like Naomi. But having someone there with you always made it heal and feel much more better.

A smile grew onto his lips as he cupped her cheek and her hand was placed upon his "I will always be here for you. No matter what the cost. I'll do anything to protect you." he wanted her to know that he'd truely do this for her. Going through such a horrible past and then having to come here where Kaname was always around, trying to do something. He was up to something but Zero didnt know what. "Why dont we go into town today?" even though it had level E's lerking there, Naomi knew how to take care of herself when it even came to them.

Naomi studied him for a minute before nodding "I think that is the best thing for me right now." she informed him "Too much going on, I need something to calm me down." even though town wasnt the most calmest of places, she still wanted to go and relax. Possibly go and get some yummy icecream. "Lets go then." she started walking on her own, soon to hear that Zero was following her. Walking alongside Zero, she felt his hand grab hers and intertwined their fingers together and gave her hand a gentle squeeze as if to tell her that he was there with her.

Naomi looked at their hands and smiled, looking up at him, seeing that gentle look on his face. One that cared and showed love for Naomi. "Zero..No matter what happens..dont leave me, okay?" she stopped walking and she made sure he stopped too. He looked at her with a serious look before he had spoke just to ease Naomi a bit. Seeing as she looked like she might break.

"Naomi, I wont ever leave you unless you want me to."

"You promise?"

"I promise." he pulled her close and looked down at her "Dont think like that, ever."

"I just wanted to make sure you wouldnt leave me." She hugged him before pulling away and walking to town. It was a bit of a walk but Naomi didnt mind it at all. "Lets get some Ice Cream. I'm in the mood and plus.. I feel as if I need a nice, cold, sugary snack." who wouldnt want icecream? This day was to only get her mind off of all the stuff that has been going on. But something haunted her, only coming back and reminding her what horrible things lie with Naomi.

The day had been going on and on. Today was a Day with Zero, Shopping, getting icecream. But Zero had topped it off with a nice dinner. The sun starting to set, telling Naomi that this was the time that Level E's liked to come outside and hunt for their next victim. People die possibly every night because of the cruel vampires that no one does anything about except for the hunters. Just because hunters knew how to hunt..doesnt meant they all live.


You can be one of them, Naomi

"Naomi?" Zero said a bit louder

One that dies. But if you die, that means I can take over your pathetic little body!


Instantly, Naomi jumped out of her thoughts that led to her listening to Naomi and looked at Zero, who was conserned "I..Sorry.." she said, looking down at her plate before leaning back in her chair.

"What happened? You looked as if you drowned yourself in your thoughts.."

"I kinda did. I'm sorry.."

He shook his head "Dont be."

A small smile appeared on her lips as she looked at him. On the inside, she really wanted to just jump across the table and hug him, planting kisses on his lips. But she kept her composure and continued to eat just so she wouldnt worry Zero even more. I just wish I can explain how I feel about him..Its just so difficult. They were the same. Both lost their loved ones in an attack. Even though Naomi mostly witnessed her parents being killed, she had the same story as Zero. Both were empty but now, they both had eachother. And it seemed that Naomi loved him more then anything, even though she mentioned it before.

[1]
Entry from OQMD: crystalline Mg2Zn2SiSn at its relaxed geometry (GGA-PBE).

Unit cell a=10.766 b=4.426 c=10.780 alpha=90.00 beta=109.42 gamma=90.00
Positions (direct):
Mg1 0.000 0.000 0.000
Mg2 0.109 0.500 0.360
Mg3 0.238 0.000 0.732
Mg4 0.385 0.500 0.124
Mg5 0.512 0.000 0.515
Mg6 0.628 0.500 0.878
Mg7 0.743 0.000 0.250
Mg8 0.871 0.500 0.641
Zn1 0.105 0.500 0.604
Zn2 0.267 0.000 0.994
Zn3 0.375 0.500 0.378
Zn4 0.509 0.000 0.767
Zn5 0.631 0.500 0.121
Zn6 0.768 0.000 0.515
Zn7 0.871 0.500 0.887
Zn8 0.983 0.000 0.243
Si1 0.509 0.000 0.005
Si2 0.754 0.000 0.759
Si3 0.870 0.500 0.125
Si4 0.996 0.000 0.492
Sn1 0.127 0.500 0.872
Sn2 0.248 0.000 0.247
Sn3 0.375 0.500 0.630
Sn4 0.631 0.500 0.381

Summary:
- electronic total energy (eV/atom) = -2.526



[2]
Entry from OQMD: crystalline RbHg3MoS4 at its relaxed geometry (GGA-PBE).

Unit cell a=7.256 b=7.256 c=7.256 alpha=90.00 beta=90.00 gamma=90.00
Positions (direct):
Rb1 0.000 0.000 0.000
Hg1 0.000 0.500 0.500
Hg2 0.500 0.000 0.500
Hg3 0.500 0.500 0.000
Mo1 0.500 0.500 0.500
S1 0.322 0.322 0.322
S2 0.322 0.678 0.678
S3 0.678 0.322 0.678
S4 0.678 0.678 0.322

Summary:
- electronic total energy (eV/atom) = -3.492



[3]
Entry from OQMD: crystalline CsPtAu at its relaxed geometry (GGA-PBE).

Unit cell a=7.070 b=7.070 c=7.070 alpha=90.00 beta=90.00 gamma=90.00
Positions (direct):
Cs1 0.000 0.000 0.000
Cs2 0.000 0.500 0.500
Cs3 0.500 0.000 0.500
Cs4 0.500 0.500 0.000
Pt1 0.250 0.250 0.750
Pt2 0.250 0.750 0.250
Pt3 0.750 0.250 0.250
Pt4 0.750 0.750 0.750
Au1 0.000 0.000 0.500
Au2 0.000 0.500 0.000
Au3 0.500 0.000 0.000
Au4 0.500 0.500 0.500

Summary:
- electronic total energy (eV/atom) = -2.838
- ΔE to the lowest computed polymorph (eV per atom) = 0.000

Walking right back onto campus, she was talking with him and joking around. Being with him lightened the mood, made her heart float on clouds. Her boots made small thumps on the floor and her cloak blew lightly in the wind "You really know how to make me laugh, Zero. I'm so glad that I met you. Even if it was a bit bad at first. You just...changed everything about me. How I act and how I feel, changing how I see things.. And I thank you for that." a smile was pinned on her face and she pulled him to the Headmasters building where she was able to stay with Zero. All she wanted to do is feel safe with him and be in his arms.

Zero followed her, leading the way by walking ahead of her. They had small chatter on the way to the room Zero stayed in and once he had walked inside with her, she let go of his hand and looked around the room before walking to the dresser and taking off her cloak. putting it neatly on top before hearing Zero walk towards her. She knew it was towards her because his footsteps only got closer until he placed his hands on her arms, kissing her cheek and wrapping his arms around her to hold her. Naomi closed her eyes and leaned against him. Feeling safer in his arms then she did away from them.

After a few moments of standing in Zero's arms, she turned and opened her eyes, looking up at him and running her hands up his clothed chest and up to his face where she cupped his cheeks softly. Her blue eyes glowing from the moonlight hitting them from his window. Sliding her one hand to the back of his neck and pulled him down, pressing her lips to his and closing her eyes. His lips pressed firmly to hers and holding her small frame against his body. Something in Naomi called Zero, wanting him. Her heart raced at what she was thinking of..should she be thinking this ay about Zero? No..she couldnt...could she?

It seemed Zero had the same idea because he began pulling her towards the bed and she let him. Following him as she brought her hands down to his chest, somewhat like pushing him. She switched places with him, pulling him onto the bed with her and having her lips pulled from his and her eyes meeting his. His look was full of love and showed care "Naomi are you sure you want this?" he asked her, shocking Naomi just a little bit and made her blush. He watched her, waiting for her reply. His own heart raced for the result.

Naomi nodded, "I want this." she said before pulling him back down for the kiss, beginning to remove his jacket. Unbuttoning it and letting him pull it off and toss it somewhere in the room. Naomi pulled off his tie and began unbuttoning his dress shirt that was under his jacket. His hands also started to work on her clothes. More and more clothes we removed as time went on...

(I am so sorry for being sooo late with this. Im sorry if this feels like a ramble..when life gets in the way, it realy murders you and leaves you with no energy to make the chapters. :( I'll try my best to keep up to date..)